SHC / SWC 2017: Twelve Experts Highlight Success Stories on Tape

This news piece focuses on four of the interviews with experts from the field:
Shift towards solar in Namibia
Namibia is southern Africa’s leader in solar. The technology could offer energy security in a country heavily dependent on fuel and electricity imports, said Helvi Ileka, Head of the Centre for Renewable Energy and Energy Efficiency at the Namibia University of Science and Technology. It could provide not only water heating and power for homes, but also heat for the food and mining industry and water desalination. Ileka explained how the roadmap by the Namibian government indicated a shift towards solar. video
Solar Cooling: a success story in the making
In the Gulf region, most electricity is consumed for cooling. If air conditioning powered by PV or solar thermal collectors were to meet a greater portion of energy demand, it could leave more fuel for export. Daniel Mugnier, Head of the IEA SHC research platform New Generation Solar Cooling & Heating Systems, said that intensive international cooperation was necessary to introduce highly robust, easy-to-clean and well-performing technologies in the Gulf states. In his view, the experts’ meeting in Abu Dhabi was the “beginning of a big story”. video
**Data records that have nothing to do with the text**
1.
DFT (ωB97M-V with the def2-TZVPD basis set) results for a molecular structure, C48H52FGaOP at a distorted geometry.

Atoms and positions in Å:
1 O 5.92940 -0.26335 3.04872
2 P 5.47992 0.33926 1.65769
3 Ga 3.10756 0.32653 1.58093
4 F 2.58768 -1.31760 2.46577
5 H 5.89780 -0.55426 0.57023
6 H 6.04810 1.63544 1.38827
7 H 2.58293 0.31779 0.05830
8 H 2.46354 1.54408 2.42872
9 C 7.98697 -4.34018 -0.28545
10 C 8.76370 -4.68706 -1.39050
11 C 8.43805 -4.19617 -2.65454
12 C 7.34033 -3.34957 -2.81198
13 C 6.56586 -2.99969 -1.70624
14 C 6.88604 -3.49808 -0.44369
15 H 8.23906 -4.72569 0.69897
16 H 9.62311 -5.34124 -1.26660
17 H 9.03948 -4.47204 -3.51645
18 H 7.08930 -2.96299 -3.79618
19 H 5.71140 -2.33861 -1.82886
20 H 6.27918 -3.22973 0.41660
21 C 2.14481 6.34787 -0.18568
22 C 2.30148 5.55338 -1.32102
23 C 3.02394 4.36291 -1.24581
24 C 3.58190 3.96168 -0.03164
25 C 3.42199 4.75438 1.10456
26 C 2.70741 5.94950 1.02717
27 H 1.58460 7.27730 -0.24548
28 H 1.86083 5.86268 -2.26551
29 H 3.15153 3.74743 -2.13216
30 H 4.14078 3.03154 0.02829
31 H 3.85549 4.44073 2.05106
32 H 2.58773 6.56953 1.91127
33 C -0.98806 -0.95913 1.22449
34 C -1.39989 0.35697 1.43199
35 C -2.32346 0.94402 0.56758
36 C -2.84314 0.21088 -0.49964
37 C -2.43408 -1.10648 -0.70488
38 C -1.50347 -1.69048 0.15411
39 H -0.26568 -1.41519 1.89637
40 H -1.00009 0.92592 2.26765
41 H -2.63908 1.97170 0.72559
42 H -3.56658 0.66660 -1.17050
43 H -2.84040 -1.67821 -1.53565
44 H -1.18088 -2.71498 -0.00934
45 C -0.73924 -5.97394 3.51876
46 C -1.15107 -4.65785 3.72626
47 C -2.07464 -4.07080 2.86185
48 C -2.59432 -4.80394 1.79464
49 C -2.18526 -6.12130 1.58940
50 C -1.25465 -6.70529 2.44838
51 H -0.01686 -6.43000 4.19064
52 H -0.75127 -4.08890 4.56193
53 H -2.39026 -3.04311 3.01986
54 H -3.31776 -4.34822 1.12377
55 H -2.59158 -6.69302 0.75862
56 H -0.93206 -7.72979 2.28493
57 C -7.06449 2.63645 0.70559
58 C -8.38036 2.27405 0.41936
59 C -8.68229 0.95737 0.07293
60 C -7.66870 -0.00002 0.02233
61 C -6.35339 0.36164 0.31225
62 C -6.05007 1.68039 0.64962
63 H -6.82906 3.66344 0.97222
64 H -9.17116 3.01863 0.46552
65 H -9.70664 0.67679 -0.15659
66 H -7.90455 -1.02723 -0.24285
67 H -5.56387 -0.38494 0.27436
68 H -5.02442 1.96297 0.87004
69 C -0.65691 4.29550 -5.59534
70 C -0.43607 4.81213 -4.31898
71 C -0.68110 6.16024 -4.05945
72 C -1.15686 6.99032 -5.07490
73 C -1.38126 6.47277 -6.35031
74 C -1.12737 5.12670 -6.61220
75 H -0.46258 3.24556 -5.79810
76 H -0.07189 4.16369 -3.52601
77 H -0.50254 6.56398 -3.06656
78 H -1.35253 8.03983 -4.87157
79 H -1.75358 7.11942 -7.14111
80 H -1.29706 4.72511 -7.60735
81 C -3.72537 9.76090 -0.38709
82 C -3.56870 8.96641 -1.52243
83 C -2.84625 7.77594 -1.44722
84 C -2.28829 7.37471 -0.23305
85 C -2.44819 8.16740 0.90315
86 C -3.16278 9.36253 0.82576
87 H -4.28559 10.69032 -0.44689
88 H -4.00935 9.27571 -2.46692
89 H -2.71866 7.16046 -2.33357
90 H -1.72940 6.44457 -0.17312
91 H -2.01469 7.85376 1.84965
92 H -3.28246 9.98256 1.70986
93 C 2.26262 -12.16486 2.10759
**Here the text continues**
Important milestone on path towards 100 % renewables
The best policy for small- and medium-size renewable projects was still feed-in tariffs, said Hans-Josef Fell, President of the Energy Watch Group. A study by his organisation has shown how renewables could supply 100 % electricity around the globe throughout the entire year. Solar thermal, however, would be a fundamental prerequisite for the complete decarbonisation of all energy sectors and essential to carbon-free industrial and residential heating and cooling, desalination and chemical processes. video
Right to light in urban areas
In ancient Rome, urban citizens had a ‘right to light,’ which limited the densification of cities and provided sufficient daylight as well as natural ventilation. With the advance of electric lighting and mechanical ventilation, the rule faded into obscurity. Maria Wall, Head of the IEA SHC research platform Solar Energy in Urban Planning, explained why an increase in the utilisation of solar energy and daylight made it necessary to include solar access conditions in urban planning. As a last resort, users of solar active systems installed on roofs and facades should have the option of going to court to solve shading issues because of a neighbour’s new construction. video
== These data records were left in the piece by mistake ==
+++
(1)
Below is 2 unconnected molecules or ions with the total composition C15H24NO3 in a non-equilibrium geometry, with properties calculated with ωB97M-V/def2-TZVPD.

E_tot	-866.1308	a.u.
Kohn-Sham gap (alpha / beta)	9.48 / 4.32	eV
F_max	3.4	eV Å⁻¹
LUMO (alpha / beta)	0.287 / -4.346	eV
multiplicity	2

CARTESIAN COORDINATES (ANGSTROEM)
O 2.559 -3.317 -1.310
O 4.244 -3.895 -2.564
O 2.565 -5.277 -2.373
N 3.107 -4.184 -2.091
C -1.532 0.374 0.173
C -1.571 -1.111 0.036
C -2.521 -1.775 0.691
C -1.170 2.199 -0.987
C 1.150 -1.672 1.123
C 0.628 1.697 0.860
C 1.383 -0.568 1.852
C 1.780 0.742 1.203
C -0.752 2.537 -2.403
C 1.292 -0.598 3.346
C -0.252 1.184 -0.243
C -2.342 1.210 -0.855
C -1.437 3.451 -0.176
C 0.925 -1.694 -0.329
C -0.544 -1.814 -0.803
H 1.069 2.649 0.528
H 1.926 -1.360 3.817
H -3.238 1.662 -0.416
H -1.771 3.209 0.841
H 2.466 1.282 1.880
H -0.562 -1.493 -1.857
H -3.280 -1.228 1.254
H 0.319 0.590 -0.971
H 2.332 0.543 0.271
H 0.147 3.165 -2.400
H 0.264 -0.837 3.653
H -2.593 -2.871 0.656
H -0.742 -2.893 -0.775
H -0.562 1.653 -3.022
H 0.022 1.911 1.750
H 1.553 -1.027 -0.950
H -2.574 0.667 -1.784
H 1.293 -2.723 -0.513
H -1.554 3.119 -2.872
H 1.551 0.391 3.756
H -1.827 0.654 1.203
H -0.558 4.100 -0.130
H 1.048 -2.657 1.601
H -2.242 4.010 -0.670

Atomic partial charges in e from the Löwdin method, atoms 1 to 6: atom 1 (O): 0.075, atom 2 (O): 0.114, atom 3 (O): 0.083, atom 4 (N): -0.493, atom 5 (C): -0.208, atom 6 (C): -0.294

---

(2)
Below is C15H24O3S in the gas phase, with properties calculated with ωB97M-V/def2-TZVPD.

E_tot	-1209.8886	a.u.
Kohn-Sham gap	9.34	eV
SMILES	CCCC(=O)[C@H]1C(=O)C[C@H](C[C@@H](C)SCC)CC1=O
F_max	0.8	eV Å⁻¹
LUMO	0.690	eV
ΔE to the lowest compared entry with this formula, charge and spin	0.000	eV
multiplicity	1

CARTESIAN COORDINATES (ANGSTROEM)
S 3.798 0.003 0.977
O -1.541 3.158 -0.257
O -2.623 -0.211 1.344
O -0.271 -0.732 -1.769
C 3.656 -2.568 -0.113
C 0.803 0.922 1.078
C -1.206 2.077 0.151
C -1.633 0.812 -0.587
C -0.498 -0.191 -0.717
C -5.175 -0.619 0.207
C -4.937 -2.123 0.250
C 3.848 1.610 -1.272
C -2.773 0.172 0.213
C -4.066 0.111 -0.549
C 2.895 0.767 -0.438
C 1.743 1.620 0.086
C -0.387 1.839 1.385
C 0.264 -0.412 0.550
C 4.603 -1.412 0.151
H 3.185 -2.888 0.813
H -1.033 1.354 2.122
H 3.317 2.047 -2.116
H 4.210 -3.407 -0.530
H -6.129 -0.414 -0.283
H 2.160 2.502 0.578
H 4.667 1.009 -1.660
H 1.067 -1.129 0.388
H 1.169 1.965 -0.780
H 5.059 -1.048 -0.769
H -4.883 -2.533 -0.757
H 5.392 -1.711 0.840
H 4.267 2.413 -0.668
H -1.993 1.085 -1.583
H -4.359 1.145 -0.756
H 2.881 -2.290 -0.825
H -4.006 -2.345 0.766
H -3.879 -0.372 -1.512
H -0.427 -0.824 1.292
H -0.055 2.799 1.782
H 2.507 -0.057 -1.038
H 1.355 0.727 2.001
H -5.747 -2.619 0.779
H -5.226 -0.230 1.225

Atomic partial charges in e from the Löwdin method, atoms 1 to 6: atom 1 (S): 0.903, atom 2 (O): 0.125, atom 3 (O): 0.114, atom 4 (O): 0.124, atom 5 (C): -0.166, atom 6 (C): -0.308

---

(3)
+++
Websites of the organisations mentioned in this article:
IEA Solar Heating and Cooling Programme: http://www.iea-shc.org
These calculated molecules were left in the piece by mistake:
........
# 1
Computed, not measured: 10 unconnected molecules or ions with the total composition C6H33NO10 at a distorted geometry, with wB97M-V/def2-TZVPD.

```
50
Properties=species:S:1:pos:R:3:forces:R:3
H -0.51298 3.58458 -0.57890 0.5 0.2 -0.3
H 0.05663 3.07019 -1.99277 0.4 0.4 0.5
H 3.25799 -1.48854 -1.05748 0.6 0.2 -0.7
O -4.72636 1.91921 0.11874 0.2 -0.1 -0.1
H -1.25498 -1.57750 -3.07966 -0.1 0.1 -0.8
C 1.53273 0.30563 -0.51033 -1.8 1.0 -1.7
H 3.00010 -3.39527 -0.08925 -0.2 -0.2 0.1
H -3.98715 -1.86727 -0.88551 -0.7 -0.2 0.1
N 2.09568 0.45749 -1.78245 1.9 -1.7 0.1
H 4.54620 -0.99680 0.17643 -0.1 0.1 -0.8
H -4.29603 2.75440 -0.09780 -0.1 0.0 0.0
H 4.08795 -3.12865 1.27952 -0.4 0.9 -0.8
H -2.09463 -2.94451 1.36220 0.0 0.6 -0.1
O 0.06005 1.18934 3.84459 -1.6 1.5 -1.0
O -0.71575 3.23482 -1.45083 -0.8 -0.4 -0.3
H 0.24454 -1.43330 -1.23805 0.5 -0.4 -0.1
H -0.56190 1.12740 3.09012 0.6 -0.8 0.1
H 1.36060 1.40236 -0.20392 -0.3 -1.5 0.1
H -1.45973 1.76186 -3.65339 0.3 0.1 0.0
H 3.49570 0.74329 2.35574 0.1 -0.4 0.0
H -1.07391 0.35555 -1.76311 0.0 0.2 0.4
O -2.56260 -2.39115 1.99751 -0.1 0.1 0.6
O -0.89043 0.26199 -0.80660 0.4 -0.2 -1.0
H -0.34206 2.04356 4.10528 0.9 -0.2 0.9
H 0.02802 -0.79748 0.46919 0.5 -1.1 0.0
C 3.27422 -2.66287 0.66294 -0.4 -0.2 1.2
H 1.98947 -0.64686 1.36921 -1.0 -0.4 -0.6
O -1.98693 -2.17951 -2.95678 -0.3 -0.3 0.7
H 1.00550 -0.80539 3.57652 -0.7 0.5 0.4
O -1.12122 0.87284 -3.81528 -0.2 -0.7 0.3
H -0.18514 0.82993 -3.60709 0.1 0.6 -0.3
C 3.17363 0.98323 1.34851 0.3 0.3 -1.9
H 4.04508 1.29892 0.73986 -0.3 0.6 0.7
H 3.03994 0.84939 -1.80896 -0.4 1.0 -0.1
O -4.51280 -1.32340 -1.49348 1.0 0.2 0.4
H -3.76245 -0.90382 -1.93682 -0.3 0.0 -0.5
H -3.33039 2.35431 1.70191 -0.2 0.4 0.0
H 2.42710 -2.51368 1.37653 0.4 -0.6 -0.5
C 0.24418 -0.58153 -0.57337 -1.2 2.4 1.6
H 2.40909 1.78462 1.46023 0.7 -0.4 -0.1
H -2.05320 2.46436 0.96697 0.0 0.2 -0.1
H -0.52101 -1.08199 3.16523 0.0 0.3 0.6
C 2.55837 -0.20393 0.55301 1.4 -0.2 2.3
H -4.49687 1.32058 -0.60149 -0.2 -0.1 0.0
C 3.51557 -1.30239 -0.03487 -0.1 -0.1 1.9
O 0.37772 -1.40657 3.17550 0.7 -1.2 -1.1
H 2.18022 -0.39542 -2.36177 -0.8 0.5 0.0
H -2.59573 -1.45748 1.75258 0.1 -0.5 -0.5
O -2.62333 2.99897 1.53611 0.5 -0.6 0.1
H -2.33869 -2.48351 -3.80444 0.4 0.3 0.1
```
Forces are in eV/Å.

As for the spin multiplicity: 2. The HOMO energy (alpha / beta) is -13.48 / -13.48 eV. The relative energy (zero: lowest compared OMol25 entry of this formula, charge and spin) comes out at 3.8841 eV. As for the expectation value of S²: 0.755. Its net charge is +1. For the LUMO energy (alpha / beta), the calculation gives -0.1336 / -0.3265 Eh. For the orbital gap (alpha / beta), the calculation gives 9.8 / 4.6 eV.

=====

# 2
Computed, not measured: 10 unconnected molecules or ions with the total composition C6H34N2O9 at a distorted geometry, with wB97M-V/def2-TZVPD.

```
51
Properties=species:S:1:pos:R:3:forces:R:3
H -3.01640 0.60302 -2.65356 -0.8 -1.1 -0.6
H -4.08127 1.19464 1.82701 -0.4 -1.1 2.5
........
International Conference on Solar Heating and Cooling for Buildings and Industry: http://www.shc2017.org
Solar World Congress 2017: http://www.swc2017.org
Namibia Energy Institute at Namibia University of Science and Technology: http://nei.nust.na
New Generation Solar Cooling & Heating Systems research group:
Energy Watch Group: http://energywatchgroup.org/
Solar Energy in Urban Planning research group: http://task51.iea-shc.org/